Contents:
This entry pairs a crystal structure of Tb3Dy3HoTe8 with its calculated powder diffractogram. Radiation: Cu Kα. Structure: a PBE-relaxed structure.
No peak broadening, texture or thermal motion is included.

Crystal structure
```
data_Tb3Dy3HoTe8
_chemical_formula_sum 'Tb9 Dy9 Ho3 Te24'
_cell_length_a 8.6881
_cell_length_b 8.6881
_cell_length_c 21.2852
_cell_angle_alpha 90.00
_cell_angle_beta 90.00
_cell_angle_gamma 120.00
_symmetry_space_group_name_H-M 'R -3 m'
_symmetry_Int_Tables_number 166
_symmetry_space_group_name_Hall '-R 3 2"'
loop_
_atom_site_label
_atom_site_type_symbol
_atom_site_fract_x
_atom_site_fract_y
_atom_site_fract_z
Tb1 Tb 0.0000 0.5000 0.0000
Dy1 Dy 0.0000 0.5000 0.5000
Ho1 Ho 0.0000 0.0000 0.5000
Te1 Te 0.0000 0.0000 0.2495
Te2 Te 0.0068 0.5034 0.7488
```

The 6 most intense peaks (2θ = 5–70°), sorted by position:
(hkl), 2theta, I_rel
0 0 3, 12.5, 4
0 2 4, 29.1, 100
2 2 0, 41.6, 76
0 0 12, 51.5, 27
0 4 8, 60.3, 13
2 2 12, 68.3, 34

---

This entry pairs a crystal structure of TbDyHoTh2 with its calculated powder diffractogram. Radiation: Cu Kα. Structure: a PBE-relaxed structure.
No peak broadening, texture or thermal motion is included.

Crystal structure
```
data_TbDyHoTh2
_chemical_formula_sum 'Tb4 Dy4 Ho4 Th8'
_cell_length_a 6.6454
_cell_length_b 15.5783
_cell_length_c 6.6487
_cell_angle_alpha 90.00
_cell_angle_beta 90.00
_cell_angle_gamma 90.00
_symmetry_space_group_name_H-M 'C m c m'
_symmetry_Int_Tables_number 63
_symmetry_space_group_name_Hall '-C 2c 2'
loop_
_atom_site_label
_atom_site_type_symbol
_atom_site_fract_x
_atom_site_fract_y
_atom_site_fract_z
Tb1 Tb 0.0000 0.2482 0.2500
Dy1 Dy 0.0000 0.1520 0.7500
Ho1 Ho 0.0000 0.3484 0.7500
Th1 Th 0.2498 0.0000 0.0000
```

The 6 most intense peaks (2θ = 5–70°), sorted by position:
(hkl), 2theta, I_rel
2 2 0, 29.2, 100
0 6 0, 34.5, 40
2 4 0, 35.5, 35
2 0 2, 38.3, 42
2 6 2, 52.5, 31
4 2 2, 63.7, 23

---

This entry pairs a crystal structure of Tb2Dy2HoTh with its calculated powder diffractogram. Radiation: Cu Kα. Structure: a PBE-relaxed structure.
No peak broadening, texture or thermal motion is included.

Crystal structure
```
data_Tb2Dy2HoTh
_chemical_formula_sum 'Tb4 Dy4 Ho2 Th2'
_cell_length_a 6.5926
_cell_length_b 6.6935
_cell_length_c 8.7818
_cell_angle_alpha 90.00
_cell_angle_beta 96.65
_cell_angle_gamma 90.00
_symmetry_space_group_name_H-M 'P 1 21/m 1'
_symmetry_Int_Tables_number 11
loop_
_symmetry_equiv_pos_as_xyz
'x,y,z'
'-x,-y,-z'
'-x,y+1/2,-z'
'x,-y+1/2,z'
loop_
_atom_site_label
_atom_site_type_symbol
_atom_site_fract_x
_atom_site_fract_y
_atom_site_fract_z
Tb1 Tb 0.1826 0.9996 0.1800
Dy1 Dy 0.2924 0.2500 0.8339
Dy2 Dy 0.4195 0.2500 0.4907
Ho1 Ho 0.3446 0.7500 0.8596
Th1 Th 0.0863 0.7500 0.5172
```

The 6 most intense peaks (2θ = 5–70°), sorted by position:
(hkl), 2theta, I_rel
2 0 1, 30.2, 63
0 0 3, 30.8, 100
1 2 -1, 31.2, 96
2 0 -2, 32.2, 91
2 1 1, 33.1, 39
1 2 2, 37.4, 51

---

This entry pairs a crystal structure of TbDy2Ho5Th with its calculated powder diffractogram. Radiation: Cu Kα. Structure: a PBE-relaxed structure.
No peak broadening, texture or thermal motion is included.

Crystal structure
```
data_TbDy2Ho5Th
_chemical_formula_sum 'Tb4 Dy8 Ho20 Th4'
_cell_length_a 5.6759
_cell_length_b 21.4241
_cell_length_c 9.6716
_cell_angle_alpha 90.00
_cell_angle_beta 90.00
_cell_angle_gamma 90.00
_symmetry_space_group_name_H-M 'C m c 21'
_symmetry_Int_Tables_number 36
loop_
_symmetry_equiv_pos_as_xyz
'x,y,z'
'-x,-y,z+1/2'
'-x,y,z'
'x,-y,z+1/2'
'x+1/2,y+1/2,z'
'-x+1/2,-y+1/2,z+1/2'
'-x+1/2,y+1/2,z'
'x+1/2,-y+1/2,z+1/2'
loop_
_atom_site_label
_atom_site_type_symbol
_atom_site_fract_x
_atom_site_fract_y
_atom_site_fract_z
Tb1 Tb 0.0000 0.1902 0.0000
Dy1 Dy 0.0000 0.1154 0.6882
Dy2 Dy 0.0000 0.1296 0.3063
Ho1 Ho 0.0000 0.0143 0.9994
Ho2 Ho 0.0000 0.2713 0.6930
Ho3 Ho 0.0000 0.3050 0.3010
Ho4 Ho 0.0000 0.3982 0.9762
Ho5 Ho 0.0000 0.4690 0.2759
Th1 Th 0.0000 0.4056 0.5950
```

The 6 most intense peaks (2θ = 5–70°), sorted by position:

Brief:
The reader should repeat everything earlier on without additions.

Solution:
This entry pairs a crystal structure of Tb3Dy3HoTe8 with its calculated powder diffractogram. Radiation: Cu Kα. Structure: a PBE-relaxed structure.
No peak broadening, texture or thermal motion is included.

Crystal structure
```
data_Tb3Dy3HoTe8
_chemical_formula_sum 'Tb9 Dy9 Ho3 Te24'
_cell_length_a 8.6881
_cell_length_b 8.6881
_cell_length_c 21.2852
_cell_angle_alpha 90.00
_cell_angle_beta 90.00
_cell_angle_gamma 120.00
_symmetry_space_group_name_H-M 'R -3 m'
_symmetry_Int_Tables_number 166
_symmetry_space_group_name_Hall '-R 3 2"'
loop_
_atom_site_label
_atom_site_type_symbol
_atom_site_fract_x
_atom_site_fract_y
_atom_site_fract_z
Tb1 Tb 0.0000 0.5000 0.0000
Dy1 Dy 0.0000 0.5000 0.5000
Ho1 Ho 0.0000 0.0000 0.5000
Te1 Te 0.0000 0.0000 0.2495
Te2 Te 0.0068 0.5034 0.7488
```

The 6 most intense peaks (2θ = 5–70°), sorted by position:
(hkl), 2theta, I_rel
0 0 3, 12.5, 4
0 2 4, 29.1, 100
2 2 0, 41.6, 76
0 0 12, 51.5, 27
0 4 8, 60.3, 13
2 2 12, 68.3, 34

---

This entry pairs a crystal structure of TbDyHoTh2 with its calculated powder diffractogram. Radiation: Cu Kα. Structure: a PBE-relaxed structure.
No peak broadening, texture or thermal motion is included.

Crystal structure
```
data_TbDyHoTh2
_chemical_formula_sum 'Tb4 Dy4 Ho4 Th8'
_cell_length_a 6.6454
_cell_length_b 15.5783
_cell_length_c 6.6487
_cell_angle_alpha 90.00
_cell_angle_beta 90.00
_cell_angle_gamma 90.00
_symmetry_space_group_name_H-M 'C m c m'
_symmetry_Int_Tables_number 63
_symmetry_space_group_name_Hall '-C 2c 2'
loop_
_atom_site_label
_atom_site_type_symbol
_atom_site_fract_x
_atom_site_fract_y
_atom_site_fract_z
Tb1 Tb 0.0000 0.2482 0.2500
Dy1 Dy 0.0000 0.1520 0.7500
Ho1 Ho 0.0000 0.3484 0.7500
Th1 Th 0.2498 0.0000 0.0000
```

The 6 most intense peaks (2θ = 5–70°), sorted by position:
(hkl), 2theta, I_rel
2 2 0, 29.2, 100
0 6 0, 34.5, 40
2 4 0, 35.5, 35
2 0 2, 38.3, 42
2 6 2, 52.5, 31
4 2 2, 63.7, 23

---

This entry pairs a crystal structure of Tb2Dy2HoTh with its calculated powder diffractogram. Radiation: Cu Kα. Structure: a PBE-relaxed structure.
No peak broadening, texture or thermal motion is included.

Crystal structure
```
data_Tb2Dy2HoTh
_chemical_formula_sum 'Tb4 Dy4 Ho2 Th2'
_cell_length_a 6.5926
_cell_length_b 6.6935
_cell_length_c 8.7818
_cell_angle_alpha 90.00
_cell_angle_beta 96.65
_cell_angle_gamma 90.00
_symmetry_space_group_name_H-M 'P 1 21/m 1'
_symmetry_Int_Tables_number 11
loop_
_symmetry_equiv_pos_as_xyz
'x,y,z'
'-x,-y,-z'
'-x,y+1/2,-z'
'x,-y+1/2,z'
loop_
_atom_site_label
_atom_site_type_symbol
_atom_site_fract_x
_atom_site_fract_y
_atom_site_fract_z
Tb1 Tb 0.1826 0.9996 0.1800
Dy1 Dy 0.2924 0.2500 0.8339
Dy2 Dy 0.4195 0.2500 0.4907
Ho1 Ho 0.3446 0.7500 0.8596
Th1 Th 0.0863 0.7500 0.5172
```

The 6 most intense peaks (2θ = 5–70°), sorted by position:
(hkl), 2theta, I_rel
2 0 1, 30.2, 63
0 0 3, 30.8, 100
1 2 -1, 31.2, 96
2 0 -2, 32.2, 91
2 1 1, 33.1, 39
1 2 2, 37.4, 51

---

This entry pairs a crystal structure of TbDy2Ho5Th with its calculated powder diffractogram. Radiation: Cu Kα. Structure: a PBE-relaxed structure.
No peak broadening, texture or thermal motion is included.

Crystal structure
```
data_TbDy2Ho5Th
_chemical_formula_sum 'Tb4 Dy8 Ho20 Th4'
_cell_length_a 5.6759
_cell_length_b 21.4241
_cell_length_c 9.6716
_cell_angle_alpha 90.00
_cell_angle_beta 90.00
_cell_angle_gamma 90.00
_symmetry_space_group_name_H-M 'C m c 21'
_symmetry_Int_Tables_number 36
loop_
_symmetry_equiv_pos_as_xyz
'x,y,z'
'-x,-y,z+1/2'
'-x,y,z'
'x,-y,z+1/2'
'x+1/2,y+1/2,z'
'-x+1/2,-y+1/2,z+1/2'
'-x+1/2,y+1/2,z'
'x+1/2,-y+1/2,z+1/2'
loop_
_atom_site_label
_atom_site_type_symbol
_atom_site_fract_x
_atom_site_fract_y
_atom_site_fract_z
Tb1 Tb 0.0000 0.1902 0.0000
Dy1 Dy 0.0000 0.1154 0.6882
Dy2 Dy 0.0000 0.1296 0.3063
Ho1 Ho 0.0000 0.0143 0.9994
Ho2 Ho 0.0000 0.2713 0.6930
Ho3 Ho 0.0000 0.3050 0.3010
Ho4 Ho 0.0000 0.3982 0.9762
Ho5 Ho 0.0000 0.4690 0.2759
Th1 Th 0.0000 0.4056 0.5950
```

The 6 most intense peaks (2θ = 5–70°), sorted by position: